Entries
+++
(1)
109
Properties=species:S:1:pos:R:3 method="wB97M-V/def2-TZVPD" s_squared=2.047 e_above_lowest_ev=1.8110 total_charge=+2 molar_mass_g_mol=1132.9 energy_ha=-4021.19894 multiplicity=3 e_lumo_ev="-5.43 / -5.45"
Au 0.03311 -1.07167 -0.40914
O 0.71008 1.71841 1.60421
S 0.05267 1.76504 0.12403
C -1.40968 2.66508 0.30336
C -1.32073 3.91824 0.89393
C -2.39462 4.80914 0.92564
C -3.54068 4.42539 0.27845
C -4.81569 5.19246 0.05050
C -5.74512 4.21017 -0.70175
C -4.93955 2.94354 -0.82445
C -5.25662 1.72943 -1.34593
C -4.32015 0.68614 -1.19613
C -3.06261 0.81632 -0.63246
P -2.30609 -0.79215 -0.13973
C -3.23207 -2.07533 -1.00722
C -2.95563 -2.27593 -2.36011
C -3.61199 -3.27319 -3.05792
C -4.52926 -4.08951 -2.40275
C -4.79648 -3.89799 -1.05652
C -4.15428 -2.88389 -0.35619
C -2.72062 -0.90440 1.63062
C -3.63543 -0.03480 2.26140
C -3.82256 -0.11693 3.66750
C -3.05315 -0.91927 4.43711
C -1.93145 -1.72547 3.86820
C -1.99063 -1.78493 2.37557
C -2.65106 2.13975 -0.21673
C -3.65464 3.12787 -0.26379
C 1.27085 2.72060 -0.68625
C 0.94414 3.97398 -1.16294
C 1.91652 4.87031 -1.63489
C 3.22331 4.49994 -1.50716
C 4.48684 5.26449 -1.80582
C 5.63339 4.33344 -1.34065
C 4.94949 3.04112 -0.97552
C 5.44852 1.83875 -0.58691
C 4.53697 0.77370 -0.42331
C 3.16291 0.87816 -0.53572
P 2.35206 -0.73740 -0.89981
C 2.63647 -0.97693 -2.67480
C 1.66347 -1.64779 -3.41086
C 1.86144 -1.92283 -4.75699
C 3.03272 -1.51901 -5.37802
C 4.00853 -0.84561 -4.65214
C 3.81334 -0.57674 -3.30848
C 3.39173 -1.97171 -0.06199
C 3.63576 -1.86823 1.30834
C 4.38010 -2.84152 1.95656
C 4.87904 -3.92824 1.24635
C 4.63733 -4.03288 -0.11450
C 3.90035 -3.05514 -0.77029
C 2.61452 2.19734 -0.75068
C 3.54733 3.20067 -1.05850
H -0.36966 4.22132 1.31569
H -2.29291 5.77559 1.39886
H -4.61351 6.09267 -0.53134
H -5.23855 5.52442 0.99919
H -6.02755 4.58783 -1.68447
H -6.67197 4.02555 -0.15850
H -6.21386 1.52629 -1.80585
H -4.64033 -0.29674 -1.51236
H -2.22421 -1.65522 -2.86721
H -3.40403 -3.42372 -4.10829
H -5.03253 -4.87736 -2.94625
H -5.50864 -4.53322 -0.54845
H -4.37369 -2.73200 0.69359
H -4.22849 0.65805 1.68109
H -4.60097 0.47798 4.12571
H -3.21834 -0.96205 5.50614
H -1.96494 -2.74291 4.27109
H -1.32499 -2.48945 1.88766
H -0.08670 4.29322 -1.15248
H 1.62206 5.83745 -2.01754
H 4.49703 6.22645 -1.29419
H 4.54788 5.47592 -2.87467
H 6.15045 4.74340 -0.47213
H 6.38671 4.18107 -2.11292
H 6.50846 1.65806 -0.47279
H 4.96625 -0.20587 -0.25890
H 0.74460 -1.96490 -2.92796
H 1.10095 -2.44852 -5.31763
H 3.18739 -1.72440 -6.42862
H 4.92435 -0.53194 -5.13387
H 4.58538 -0.05236 -2.76094
H 3.25269 -1.02043 1.86647
H 4.58072 -2.74740 3.01579
H 5.46250 -4.68490 1.75257
H 5.02707 -4.87256 -0.67325
H 3.72604 -3.14613 -1.83440
F -1.03316 -4.36835 -0.96767
C -0.16462 -4.44141 0.01088
F 1.06604 -4.35109 -0.43815
C -0.40648 -5.54356 1.02040
F -0.29911 -6.75605 0.46439
F 0.48746 -5.44911 2.00496
F -1.62980 -5.41896 1.53036
N 1.05005 -2.61822 3.14568
C 0.48599 -1.39231 3.21329
C -0.49310 -1.16774 4.34379
C -0.46215 0.28895 4.72426
C -0.16010 1.20522 3.81665
C 0.00607 0.71204 2.41436
N 0.68399 -0.53174 2.27579
H 0.99631 -3.24210 3.93134
H 1.76410 -2.79225 2.45334
H -0.19771 -1.76722 5.20616
H -0.67496 0.55847 5.74970
H -0.12199 2.26373 4.02947
H -1.00365 0.64853 1.98749

---

(2)
115
Properties=species:S:1:pos:R:3 method="wB97M-V/def2-TZVPD" e_above_lowest_ev=3.7261 molar_mass_g_mol=1231.5 energy_ha=-5015.66717 e_lumo_ev="-0.22 / -0.23"
Ir 0.40284 1.39355 -0.89018
N -1.40087 0.84328 -0.07622
S -1.94639 0.32320 1.19483
N -1.71113 -1.25973 1.61531
S -0.41024 -2.06571 1.88955
N 0.44971 -2.53659 0.67202
S 0.53266 -1.84902 -0.81318
N 1.18166 -0.56811 -1.18369
C 1.43837 -3.17172 -1.62582
C 2.23183 -4.06402 -0.92280
C 2.89671 -5.07094 -1.60476
C 2.75993 -5.19187 -2.97997
C 1.96560 -4.29088 -3.67867
C 1.30826 -3.27706 -3.00386
C -1.11435 -2.16989 -1.46741
C -1.70808 -1.27264 -2.33838
C -2.94854 -1.57509 -2.87814
C -3.57303 -2.77493 -2.56751
C -2.96044 -3.67418 -1.70232
C -1.72934 -3.37463 -1.14448
C 0.67038 -1.82869 3.29752
+++

Brief
Next, repeat the lines above up to the one that holds "0.40284 1.39355", that line included.

Solution
(1)
109
Properties=species:S:1:pos:R:3 method="wB97M-V/def2-TZVPD" s_squared=2.047 e_above_lowest_ev=1.8110 total_charge=+2 molar_mass_g_mol=1132.9 energy_ha=-4021.19894 multiplicity=3 e_lumo_ev="-5.43 / -5.45"
Au 0.03311 -1.07167 -0.40914
O 0.71008 1.71841 1.60421
S 0.05267 1.76504 0.12403
C -1.40968 2.66508 0.30336
C -1.32073 3.91824 0.89393
C -2.39462 4.80914 0.92564
C -3.54068 4.42539 0.27845
C -4.81569 5.19246 0.05050
C -5.74512 4.21017 -0.70175
C -4.93955 2.94354 -0.82445
C -5.25662 1.72943 -1.34593
C -4.32015 0.68614 -1.19613
C -3.06261 0.81632 -0.63246
P -2.30609 -0.79215 -0.13973
C -3.23207 -2.07533 -1.00722
C -2.95563 -2.27593 -2.36011
C -3.61199 -3.27319 -3.05792
C -4.52926 -4.08951 -2.40275
C -4.79648 -3.89799 -1.05652
C -4.15428 -2.88389 -0.35619
C -2.72062 -0.90440 1.63062
C -3.63543 -0.03480 2.26140
C -3.82256 -0.11693 3.66750
C -3.05315 -0.91927 4.43711
C -1.93145 -1.72547 3.86820
C -1.99063 -1.78493 2.37557
C -2.65106 2.13975 -0.21673
C -3.65464 3.12787 -0.26379
C 1.27085 2.72060 -0.68625
C 0.94414 3.97398 -1.16294
C 1.91652 4.87031 -1.63489
C 3.22331 4.49994 -1.50716
C 4.48684 5.26449 -1.80582
C 5.63339 4.33344 -1.34065
C 4.94949 3.04112 -0.97552
C 5.44852 1.83875 -0.58691
C 4.53697 0.77370 -0.42331
C 3.16291 0.87816 -0.53572
P 2.35206 -0.73740 -0.89981
C 2.63647 -0.97693 -2.67480
C 1.66347 -1.64779 -3.41086
C 1.86144 -1.92283 -4.75699
C 3.03272 -1.51901 -5.37802
C 4.00853 -0.84561 -4.65214
C 3.81334 -0.57674 -3.30848
C 3.39173 -1.97171 -0.06199
C 3.63576 -1.86823 1.30834
C 4.38010 -2.84152 1.95656
C 4.87904 -3.92824 1.24635
C 4.63733 -4.03288 -0.11450
C 3.90035 -3.05514 -0.77029
C 2.61452 2.19734 -0.75068
C 3.54733 3.20067 -1.05850
H -0.36966 4.22132 1.31569
H -2.29291 5.77559 1.39886
H -4.61351 6.09267 -0.53134
H -5.23855 5.52442 0.99919
H -6.02755 4.58783 -1.68447
H -6.67197 4.02555 -0.15850
H -6.21386 1.52629 -1.80585
H -4.64033 -0.29674 -1.51236
H -2.22421 -1.65522 -2.86721
H -3.40403 -3.42372 -4.10829
H -5.03253 -4.87736 -2.94625
H -5.50864 -4.53322 -0.54845
H -4.37369 -2.73200 0.69359
H -4.22849 0.65805 1.68109
H -4.60097 0.47798 4.12571
H -3.21834 -0.96205 5.50614
H -1.96494 -2.74291 4.27109
H -1.32499 -2.48945 1.88766
H -0.08670 4.29322 -1.15248
H 1.62206 5.83745 -2.01754
H 4.49703 6.22645 -1.29419
H 4.54788 5.47592 -2.87467
H 6.15045 4.74340 -0.47213
H 6.38671 4.18107 -2.11292
H 6.50846 1.65806 -0.47279
H 4.96625 -0.20587 -0.25890
H 0.74460 -1.96490 -2.92796
H 1.10095 -2.44852 -5.31763
H 3.18739 -1.72440 -6.42862
H 4.92435 -0.53194 -5.13387
H 4.58538 -0.05236 -2.76094
H 3.25269 -1.02043 1.86647
H 4.58072 -2.74740 3.01579
H 5.46250 -4.68490 1.75257
H 5.02707 -4.87256 -0.67325
H 3.72604 -3.14613 -1.83440
F -1.03316 -4.36835 -0.96767
C -0.16462 -4.44141 0.01088
F 1.06604 -4.35109 -0.43815
C -0.40648 -5.54356 1.02040
F -0.29911 -6.75605 0.46439
F 0.48746 -5.44911 2.00496
F -1.62980 -5.41896 1.53036
N 1.05005 -2.61822 3.14568
C 0.48599 -1.39231 3.21329
C -0.49310 -1.16774 4.34379
C -0.46215 0.28895 4.72426
C -0.16010 1.20522 3.81665
C 0.00607 0.71204 2.41436
N 0.68399 -0.53174 2.27579
H 0.99631 -3.24210 3.93134
H 1.76410 -2.79225 2.45334
H -0.19771 -1.76722 5.20616
H -0.67496 0.55847 5.74970
H -0.12199 2.26373 4.02947
H -1.00365 0.64853 1.98749

---

(2)
115
Properties=species:S:1:pos:R:3 method="wB97M-V/def2-TZVPD" e_above_lowest_ev=3.7261 molar_mass_g_mol=1231.5 energy_ha=-5015.66717 e_lumo_ev="-0.22 / -0.23"
Ir 0.40284 1.39355 -0.89018